Entries:
********
Here is a single C3H6O2 molecule from OMol25. Energies are from wB97M-V/def2-TZVPD.

For the max |F|, the calculation gives 5.92 eV/A. The value obtained for the HOMO-LUMO gap is 10.985 eV. The energy relative to the best compared isomer or geometry (same formula, charge and spin) comes out at 474.48 kJ/mol. The calculation puts the energy at -268.2245 Eh. Its SMILES is OC[C@@H]1CO1. The LUMO energy comes out at 0.950 eV. The HOMO energy is -10.036 eV. As for the spin multiplicity: 1.

Geometry as XYZ:
```
11
Properties=species:S:1:pos:R:3:nbo_charge:R:1
C 1.22 -0.77 0.06 -0.087
C -0.22 -0.36 -0.68 0.025
C -1.15 0.86 -0.71 -0.126
H 0.36 0.61 1.35 0.467
H 0.75 -1.70 0.75 0.195
H 2.16 -0.87 -0.50 0.220
H -0.63 -0.95 -1.58 0.178
H -1.73 1.41 -1.59 0.212
H -0.71 1.58 -0.13 0.166
O 1.42 0.42 1.00 -0.738
O -1.33 -0.23 0.21 -0.513
```

---

Here is a single C2H5NO2 molecule from OMol25. Energies are from wB97M-V/def2-TZVPD.

For the max |F|, the calculation gives 3.46 eV/A. The value obtained for the HOMO-LUMO gap is 10.461 eV. The energy relative to the best compared isomer or geometry (same formula, charge and spin) comes out at 265.40 kJ/mol. The calculation puts the energy at -284.3663 Eh. Its SMILES is CN(O)C=O. The LUMO energy comes out at 0.769 eV. The HOMO energy is -9.692 eV. As for the spin multiplicity: 1.

Geometry as XYZ:
```
10
Properties=species:S:1:pos:R:3:nbo_charge:R:1
C 0.43 1.38 -0.96 -0.447
C 0.76 -0.45 0.61 0.485
H -0.34 2.04 -0.40 0.217
H 0.38 1.49 -2.08 0.223
H 1.37 1.78 -0.55 0.214
H -1.54 -0.70 0.26 0.490
H 1.81 -0.12 0.64 0.144
N 0.09 -0.07 -0.55 -0.159
O -1.34 -0.20 -0.54 -0.556
O 0.16 -1.01 1.55 -0.609
```

---

Here is a single C5H6O2 molecule from OMol25. Energies are from wB97M-V/def2-TZVPD.

For the max |F|, the calculation gives 0.49 eV/A. The value obtained for the HOMO-LUMO gap is 9.109 eV. The energy relative to the best compared isomer or geometry (same formula, charge and spin) comes out at 391.54 kJ/mol. The calculation puts the energy at -344.4528 Eh. The LUMO energy comes out at -0.631 eV. The HOMO energy is -9.740 eV. As for the spin multiplicity: 1.

Geometry as XYZ:
```
13
Properties=species:S:1:pos:R:3:nbo_charge:R:1
O 1.84 1.23 -1.06 -0.509
C 1.04 0.51 -0.51 0.602
C 1.22 -0.01 0.90 -0.711
C -1.51 0.02 1.10 -0.105
C -1.40 -0.08 -0.29 0.391
O -2.59 -0.17 -0.62 -0.505
C -0.22 0.05 -1.22 -0.615
H 2.11 0.42 1.37 0.252
H 1.28 -1.10 0.90 0.237
H 0.35 0.30 1.50 0.237
H -1.62 -0.94 1.64 0.182
H -0.47 0.71 -2.05 0.272
H -0.04 -0.95 -1.65 0.271
```

---

Here is a gas-phase ion, C3H6N3S (charge +1) from OMol25. Energies are from wB97M-V/def2-TZVPD.

For the max |F|, the calculation gives 5.10 eV/A. The value obtained for the HOMO-LUMO gap is 10.398 eV. The energy relative to the best compared isomer or geometry (same formula, charge and spin) comes out at 213.67 kJ/mol. The calculation puts the energy at -680.0296 Eh. The charge is +1. The LUMO energy comes out at -5.420 eV. The HOMO energy is -15.818 eV. As for the spin multiplicity: 1.

Geometry as XYZ:
```
13
Properties=species:S:1:pos:R:3:nbo_charge:R:1
C 1.37 0.51 -0.02 0.186
C 0.28 1.47 0.03 -0.722
C 0.03 -1.47 -0.01 -0.469
N 2.42 -1.43 0.03 0.044
N 3.49 -0.79 0.00 -0.247
N 1.29 -0.81 0.01 -0.148
S 3.14 0.84 -0.02 0.714
H -0.77 1.00 0.04 0.276
H 0.39 2.13 0.86 0.290
H 0.34 2.11 -0.87 0.294
H -0.56 -1.55 -0.89 0.260
H 0.05 -2.53 0.37 0.283
H -0.60 -1.11 0.73 0.240
```

---

Here is a molecular structure, C45H41GeN3O2P2Ru from OMol25. Energies are from wB97M-V/def2-TZVPD.
********

Assignment:
What is needed: type out only the last part of the entries above, starting with the line that has "1.37 0.252".

Worked solution:
H 2.11 0.42 1.37 0.252
H 1.28 -1.10 0.90 0.237
H 0.35 0.30 1.50 0.237
H -1.62 -0.94 1.64 0.182
H -0.47 0.71 -2.05 0.272
H -0.04 -0.95 -1.65 0.271
```

---

Here is a gas-phase ion, C3H6N3S (charge +1) from OMol25. Energies are from wB97M-V/def2-TZVPD.

For the max |F|, the calculation gives 5.10 eV/A. The value obtained for the HOMO-LUMO gap is 10.398 eV. The energy relative to the best compared isomer or geometry (same formula, charge and spin) comes out at 213.67 kJ/mol. The calculation puts the energy at -680.0296 Eh. The charge is +1. The LUMO energy comes out at -5.420 eV. The HOMO energy is -15.818 eV. As for the spin multiplicity: 1.

Geometry as XYZ:
```
13
Properties=species:S:1:pos:R:3:nbo_charge:R:1
C 1.37 0.51 -0.02 0.186
C 0.28 1.47 0.03 -0.722
C 0.03 -1.47 -0.01 -0.469
N 2.42 -1.43 0.03 0.044
N 3.49 -0.79 0.00 -0.247
N 1.29 -0.81 0.01 -0.148
S 3.14 0.84 -0.02 0.714
H -0.77 1.00 0.04 0.276
H 0.39 2.13 0.86 0.290
H 0.34 2.11 -0.87 0.294
H -0.56 -1.55 -0.89 0.260
H 0.05 -2.53 0.37 0.283
H -0.60 -1.11 0.73 0.240
```

---

Here is a molecular structure, C45H41GeN3O2P2Ru from OMol25. Energies are from wB97M-V/def2-TZVPD.